**To do:**
Repeat the part of the calculation results further down that starts with the line with "-1.33747 0.1" and stops after the one with "1.60365 -0.86617".

**File:**
72
Properties=species:S:1:pos:R:3:forces:R:3:lowdin_charge:R:1 method="wB97M-V/def2-TZVPD" fmax_ha_per_bohr=0.031 total_charge=-1 e_homo_ev=-3.5 gap_ev=5.8 e_tot_ev=-189659.1867
N -1.94240 0.26246 2.99138 0.1 0.0 -0.6 -0.0264
C 1.66643 -0.22041 -2.41157 0.0 -0.2 0.0 -0.3309
C -1.44831 -1.38865 -2.78223 -0.1 -0.1 0.4 -0.6999
H -5.19412 2.06604 0.57269 0.0 0.0 0.0 0.0766
C 1.98978 -1.42255 -1.76875 -0.1 0.1 -0.3 -0.1933
C -1.23978 -2.62046 -3.40138 0.0 0.0 0.0 -0.7169
C -1.47186 -1.19935 -1.40142 0.4 -0.2 0.5 -0.2207
C 1.36665 0.03978 1.58915 0.1 0.1 -0.1 -0.1443
S -1.16564 2.91681 0.70676 0.1 -0.5 0.5 0.5158
C 5.91106 2.36420 -1.33747 0.1 0.0 0.0 -0.1138
C -2.63099 -0.00795 5.08488 -0.7 -0.2 -0.3 -0.6264
N -3.52106 2.41350 -0.62767 0.2 0.1 -0.3 -0.1588
H -0.68843 1.00009 6.65226 0.0 0.0 0.0 0.0688
H 1.40850 0.79654 -4.27429 0.0 -0.1 -0.1 0.0913
C -2.12433 2.43056 -0.62585 -0.1 0.2 -0.2 -0.8948
H 3.02855 2.55440 -3.10604 0.1 0.0 -0.1 0.0890
C 1.65881 -0.14223 -3.79305 0.0 0.1 0.1 -0.1369
C 2.30996 -2.37783 0.56511 0.0 0.0 -0.1 -0.0408
H -2.85337 2.74055 -3.81470 0.0 0.0 0.0 0.0926
S -4.11644 -0.35965 4.18640 0.5 0.1 -0.1 1.0136
C -3.17027 -0.05845 2.72371 -0.2 -0.1 0.3 -0.7523
H -2.92944 -1.07096 6.89197 -0.1 0.1 0.1 0.1024
C -3.97465 2.54247 -1.93852 -0.1 0.0 0.0 -0.0921
C 1.94692 -1.27043 -4.54829 0.0 0.1 -0.1 -0.1063
H 2.50797 -2.98644 2.60732 -0.1 0.0 0.0 0.0980
H 6.07846 1.55270 0.63898 0.0 0.0 0.0 0.0961
H 6.96534 2.59864 -1.41909 0.0 0.0 0.0 0.0916
H 3.68431 0.97870 0.80518 0.1 0.0 0.0 0.0914
H 5.43006 3.12316 -3.28738 0.0 0.0 0.0 0.0942
C 2.29474 -2.54379 -2.53286 0.0 0.0 0.1 -0.0278
H -1.06777 0.10819 8.14151 0.0 0.0 0.0 0.0646
H -0.48912 -0.74475 6.69581 0.1 0.0 0.0 0.0715
H 1.89282 -1.22664 -5.62869 0.0 0.0 0.0 0.0979
C 5.05061 2.65224 -2.38841 0.0 0.0 0.0 -0.1044
C 3.20061 1.70890 -1.14957 0.0 0.2 0.1 -0.3484
C -0.97419 -3.73943 -2.62399 0.0 0.0 0.0 -0.7309
C -1.10583 0.07880 7.05249 -0.1 0.0 0.0 -0.1195
N -1.78324 2.66771 -1.94838 -0.4 0.1 0.0 -0.0018
Pd -1.25235 0.48600 -0.01120 0.2 0.8 -0.9 0.2823
Cl -1.68670 -0.01533 -3.80999 -0.1 0.2 -0.3 0.6961
C -2.54568 -0.09750 6.57501 0.2 0.1 0.0 -0.2613
N -1.65701 0.28652 4.31007 0.3 0.1 0.5 0.0038
H 1.00633 0.97999 1.98676 -0.1 0.0 0.0 0.0857
H -0.83020 2.59180 -2.25616 0.0 -0.1 0.0 0.0547
C 1.49172 -0.13508 0.21777 0.0 -0.1 0.2 -0.3907
H 2.53129 -3.48655 -2.05331 0.0 0.0 0.0 0.1083
C 1.71877 -0.99679 2.44522 0.0 0.0 0.1 -0.1052
C 3.70644 2.33420 -2.28642 -0.1 0.0 0.0 -0.1321
Cl -1.29736 -2.78690 -5.12266 0.0 0.0 -0.1 0.6432
C -1.21939 -2.37197 -0.67306 -0.1 0.1 -0.4 -0.7013
H -4.69790 3.77194 0.43915 0.0 0.0 0.0 0.0868
C -4.33848 2.73881 0.51143 0.0 0.1 0.0 -0.0920
C 1.94020 -1.35979 -0.30435 0.0 0.1 0.3 -0.2141
C -2.91065 2.66576 -2.74486 0.0 0.1 0.0 -0.1698
C 4.06564 1.44762 -0.09381 -0.1 0.0 0.0 -0.0925
H -3.18323 0.67208 7.01978 -0.1 -0.1 0.0 0.1044
H 1.60365 -0.86617 3.51361 0.0 0.0 0.0 0.0988
Cl -1.21255 -2.23078 1.05319 0.1 -0.4 0.4 0.7302
H 2.46833 -3.34740 -4.50902 0.0 0.0 0.0 0.1006
C 2.20660 -2.19129 1.93601 0.0 0.0 0.0 -0.0998
N -3.68421 -0.09736 1.47281 0.5 0.2 -0.5 0.0470
Cl -0.68557 -5.27497 -3.36033 0.0 0.0 0.0 0.6404
C -0.94603 -3.60994 -1.23993 0.0 0.0 0.1 -0.7203
H -3.73353 2.64204 1.40779 0.0 0.0 0.0 0.0374
C 5.41321 1.77022 -0.18807 0.1 0.0 0.0 -0.0957
H -5.02588 2.52781 -2.16377 0.0 0.0 -0.1 0.1065
C 2.26219 -2.46485 -3.91607 0.0 -0.1 -0.1 -0.0957
As 1.25694 1.22265 -1.15391 0.6 -0.2 -0.4 1.3211
Cl -0.56077 -4.97995 -0.25707 0.0 -0.1 0.0 0.6436
H -4.45620 -0.71904 1.30382 0.0 -0.1 0.0 0.0869
H -2.92755 -0.00373 0.68051 -1.2 -0.3 1.0 0.0210
H 2.67956 -3.31854 0.17504 0.0 0.0 0.0 0.1039

~~~~~

The following is a quantum chemistry calculation of the molecule C3H5BN2 in a non-equilibrium geometry, from the OMol25 dataset.

```
! wB97M-V def2-TZVPD RIJCOSX def2/J DEFGRID3
* xyz 0 1
B 0.977 1.545 -1.371
C -0.689 -1.260 0.389
C 0.141 -0.855 -0.703
C -1.349 0.372 2.063
N -1.019 -0.495 1.335
N 0.392 0.342 -1.084
H 2.182 1.509 -0.957
H 0.499 2.288 -2.210

**Reply:**
C 5.91106 2.36420 -1.33747 0.1 0.0 0.0 -0.1138
C -2.63099 -0.00795 5.08488 -0.7 -0.2 -0.3 -0.6264
N -3.52106 2.41350 -0.62767 0.2 0.1 -0.3 -0.1588
H -0.68843 1.00009 6.65226 0.0 0.0 0.0 0.0688
H 1.40850 0.79654 -4.27429 0.0 -0.1 -0.1 0.0913
C -2.12433 2.43056 -0.62585 -0.1 0.2 -0.2 -0.8948
H 3.02855 2.55440 -3.10604 0.1 0.0 -0.1 0.0890
C 1.65881 -0.14223 -3.79305 0.0 0.1 0.1 -0.1369
C 2.30996 -2.37783 0.56511 0.0 0.0 -0.1 -0.0408
H -2.85337 2.74055 -3.81470 0.0 0.0 0.0 0.0926
S -4.11644 -0.35965 4.18640 0.5 0.1 -0.1 1.0136
C -3.17027 -0.05845 2.72371 -0.2 -0.1 0.3 -0.7523
H -2.92944 -1.07096 6.89197 -0.1 0.1 0.1 0.1024
C -3.97465 2.54247 -1.93852 -0.1 0.0 0.0 -0.0921
C 1.94692 -1.27043 -4.54829 0.0 0.1 -0.1 -0.1063
H 2.50797 -2.98644 2.60732 -0.1 0.0 0.0 0.0980
H 6.07846 1.55270 0.63898 0.0 0.0 0.0 0.0961
H 6.96534 2.59864 -1.41909 0.0 0.0 0.0 0.0916
H 3.68431 0.97870 0.80518 0.1 0.0 0.0 0.0914
H 5.43006 3.12316 -3.28738 0.0 0.0 0.0 0.0942
C 2.29474 -2.54379 -2.53286 0.0 0.0 0.1 -0.0278
H -1.06777 0.10819 8.14151 0.0 0.0 0.0 0.0646
H -0.48912 -0.74475 6.69581 0.1 0.0 0.0 0.0715
H 1.89282 -1.22664 -5.62869 0.0 0.0 0.0 0.0979
C 5.05061 2.65224 -2.38841 0.0 0.0 0.0 -0.1044
C 3.20061 1.70890 -1.14957 0.0 0.2 0.1 -0.3484
C -0.97419 -3.73943 -2.62399 0.0 0.0 0.0 -0.7309
C -1.10583 0.07880 7.05249 -0.1 0.0 0.0 -0.1195
N -1.78324 2.66771 -1.94838 -0.4 0.1 0.0 -0.0018
Pd -1.25235 0.48600 -0.01120 0.2 0.8 -0.9 0.2823
Cl -1.68670 -0.01533 -3.80999 -0.1 0.2 -0.3 0.6961
C -2.54568 -0.09750 6.57501 0.2 0.1 0.0 -0.2613
N -1.65701 0.28652 4.31007 0.3 0.1 0.5 0.0038
H 1.00633 0.97999 1.98676 -0.1 0.0 0.0 0.0857
H -0.83020 2.59180 -2.25616 0.0 -0.1 0.0 0.0547
C 1.49172 -0.13508 0.21777 0.0 -0.1 0.2 -0.3907
H 2.53129 -3.48655 -2.05331 0.0 0.0 0.0 0.1083
C 1.71877 -0.99679 2.44522 0.0 0.0 0.1 -0.1052
C 3.70644 2.33420 -2.28642 -0.1 0.0 0.0 -0.1321
Cl -1.29736 -2.78690 -5.12266 0.0 0.0 -0.1 0.6432
C -1.21939 -2.37197 -0.67306 -0.1 0.1 -0.4 -0.7013
H -4.69790 3.77194 0.43915 0.0 0.0 0.0 0.0868
C -4.33848 2.73881 0.51143 0.0 0.1 0.0 -0.0920
C 1.94020 -1.35979 -0.30435 0.0 0.1 0.3 -0.2141
C -2.91065 2.66576 -2.74486 0.0 0.1 0.0 -0.1698
C 4.06564 1.44762 -0.09381 -0.1 0.0 0.0 -0.0925
H -3.18323 0.67208 7.01978 -0.1 -0.1 0.0 0.1044
H 1.60365 -0.86617 3.51361 0.0 0.0 0.0 0.0988